The reader should start at the top of the material below and restate each line, ending with the one that has "18.21".

~~~
1.
Calculated powder X-ray diffraction pattern of MgMn2As2Pb2O18 for Cu Kα X-rays, from the GGA+U geometry in the Materials Project.

Top 10 peaks for 2θ from 10° to 90°, most intense first:
2θ/deg	Rel. int.
14.21	1000
17.74	865
24.34	554
24.52	507
26.15	487
25.95	442
32.08	438
32.92	387
38.69	359
51.33	326

Structural model:
Lattice parameters (Å, degrees): 5.1160 5.3149 12.9120 99.99 100.57 93.94
Fractional coordinates of all 25 atoms:
1 Mg 0.0000 0.0000 0.0000
2 Mn 0.4700 0.7251 0.4517
3 Mn 0.5300 0.2749 0.5483
4 As 0.1276 0.3864 0.7201
5 As 0.8724 0.6136 0.2799
6 Pb 0.3382 0.1520 0.2790
7 Pb 0.6618 0.8480 0.7210
8 O 0.0165 0.7993 0.2058
9 O 0.1511 0.5143 0.3612
10 O 0.1707 0.2235 0.1308
11 O 0.2873 0.0299 0.4372
12 O 0.3029 0.6734 0.7822
13 O 0.3358 0.7397 0.0308
14 O 0.3458 0.1848 0.6610
15 O 0.3705 0.5939 0.5682
16 O 0.4162 0.2189 0.9500
17 O 0.5838 0.7811 0.0500
18 O 0.6295 0.4061 0.4318
19 O 0.6542 0.8152 0.3390
20 O 0.6642 0.2603 0.9692
21 O 0.6971 0.3266 0.2178
22 O 0.7127 0.9701 0.5628
23 O 0.8293 0.7765 0.8692
24 O 0.8489 0.4857 0.6388
25 O 0.9835 0.2007 0.7942


2.
Calculated powder X-ray diffraction pattern of Li5Co3O8 for Cu Kα X-rays, from the GGA+U geometry in the Materials Project.

Top 10 peaks for 2θ from 10° to 90°, most intense first:
2θ/deg	Rel. int.
18.63	1000
43.34	578
35.83	293
64.41	283
45.20	243
18.21	112
37.83	112
36.89	107
57.38	98
63.07	80

Structural model:
Lattice parameters (Å, degrees): 4.9820 2.9479 9.7400 90.00 102.03 90.00
Fractional coordinates of all 16 atoms:
1 Li 0.0000 0.0000 0.0000
2 Li 0.2407 0.5000 0.2445
3 Li 0.2515 0.0000 0.7547
4 Li 0.7485 0.0000 0.2453
5 Li 0.7593 0.5000 0.7555
6 Co 0.0000 0.5000 0.5000
7 Co 0.5000 0.0000 0.5000
8 Co 0.5000 0.5000 0.0000
9 O 0.1325 0.0000 0.3813
10 O 0.1679 0.5000 0.8885
11 O 0.3676 0.5000 0.6159
12 O 0.3894 0.0000 0.1088
13 O 0.6106 0.0000 0.8912
14 O 0.6324 0.5000 0.3841
15 O 0.8321 0.5000 0.1115
16 O 0.8675 0.0000 0.6187


3.
Calculated powder X-ray diffraction pattern of MnP2O7 for Cu Kα X-rays, from the GGA+U geometry in the Materials Project.

Top 10 peaks for 2θ from 10° to 90°, most intense first:
2θ/deg	Rel. int.
10.71	1000
23.10	915
17.88	752
18.54	710
21.05	573
29.96	535
21.51	487
16.95	476
20.75	343
37.58	341

Structural model:
Lattice parameters (Å, degrees): 6.2733 9.3892 10.5927 64.82 80.22 73.72
Fractional coordinates of all 40 atoms:
1 Mn 0.0000 0.0000 0.0000
2 Mn 0.0904 0.3670 0.0276
3 Mn 0.3381 0.8663 0.5225
4 Mn 0.4285 0.2333 0.5501
5 P 0.0150 0.3369 0.7386
6 P 0.1248 0.9581 0.2404
7 P 0.3037 0.2752 0.3096
8 P 0.4135 0.8964 0.8115
9 P 0.6102 0.2657 0.0755
10 P 0.6356 0.5151 0.5653
11 P 0.7929 0.7181 0.9848
12 P 0.8183 0.9676 0.4746
13 O 0.0090 0.6087 0.9700
14 O 0.0221 0.8681 0.5628
15 O 0.0675 0.8354 0.1896
16 O 0.1053 0.3335 0.2253
17 O 0.1132 0.3882 0.8299
18 O 0.1477 0.0957 0.0873
19 O 0.1546 0.3594 0.6050
20 O 0.2740 0.8739 0.9451
21 O 0.2809 0.1375 0.4628
22 O 0.3154 0.8451 0.7201
23 O 0.3232 0.8997 0.3248
24 O 0.3610 0.3978 0.3605
25 O 0.4065 0.3652 0.9872
26 O 0.4195 0.6246 0.5801
27 O 0.4586 0.0662 0.7370
28 O 0.5156 0.2048 0.2372
29 O 0.5862 0.3418 0.6043
30 O 0.6415 0.7634 0.8612
31 O 0.6548 0.8643 0.4964
32 O 0.6662 0.6605 0.1271
33 O 0.7133 0.1016 0.0536
34 O 0.7152 0.1317 0.4964
35 O 0.7615 0.5819 0.4270
36 O 0.7737 0.3690 0.0536
37 O 0.7870 0.4698 0.6889
38 O 0.8423 0.8915 0.9457
39 O 0.9129 0.0284 0.3128
40 O 0.9700 0.1671 0.8131


4.
Calculated powder X-ray diffraction pattern of MgMn6O8F4 for Cu Kα X-rays, from the GGA+U geometry in the Materials Project.

Top 10 peaks for 2θ from 10° to 90°, most intense first:
2θ/deg	Rel. int.
22.87	1000
27.75	686
34.34	235
34.64	233
46.72	167
35.34	167
34.91	159
61.45	153
35.01	152
48.70	146

Structural model:
Lattice parameters (Å, degrees): 5.7845 6.0608 7.7101 106.87 97.04 114.14
Fractional coordinates of all 19 atoms:
1 Mg 0.0000 0.0000 0.0000
2 Mn 0.0175 0.0203 0.5083
3 Mn 0.0302 0.4886 0.9752
4 Mn 0.3447 0.5333 0.3425
5 Mn 0.3692 0.0237 0.8232
~~~

1.
Calculated powder X-ray diffraction pattern of MgMn2As2Pb2O18 for Cu Kα X-rays, from the GGA+U geometry in the Materials Project.

Top 10 peaks for 2θ from 10° to 90°, most intense first:
2θ/deg	Rel. int.
14.21	1000
17.74	865
24.34	554
24.52	507
26.15	487
25.95	442
32.08	438
32.92	387
38.69	359
51.33	326

Structural model:
Lattice parameters (Å, degrees): 5.1160 5.3149 12.9120 99.99 100.57 93.94
Fractional coordinates of all 25 atoms:
1 Mg 0.0000 0.0000 0.0000
2 Mn 0.4700 0.7251 0.4517
3 Mn 0.5300 0.2749 0.5483
4 As 0.1276 0.3864 0.7201
5 As 0.8724 0.6136 0.2799
6 Pb 0.3382 0.1520 0.2790
7 Pb 0.6618 0.8480 0.7210
8 O 0.0165 0.7993 0.2058
9 O 0.1511 0.5143 0.3612
10 O 0.1707 0.2235 0.1308
11 O 0.2873 0.0299 0.4372
12 O 0.3029 0.6734 0.7822
13 O 0.3358 0.7397 0.0308
14 O 0.3458 0.1848 0.6610
15 O 0.3705 0.5939 0.5682
16 O 0.4162 0.2189 0.9500
17 O 0.5838 0.7811 0.0500
18 O 0.6295 0.4061 0.4318
19 O 0.6542 0.8152 0.3390
20 O 0.6642 0.2603 0.9692
21 O 0.6971 0.3266 0.2178
22 O 0.7127 0.9701 0.5628
23 O 0.8293 0.7765 0.8692
24 O 0.8489 0.4857 0.6388
25 O 0.9835 0.2007 0.7942


2.
Calculated powder X-ray diffraction pattern of Li5Co3O8 for Cu Kα X-rays, from the GGA+U geometry in the Materials Project.

Top 10 peaks for 2θ from 10° to 90°, most intense first:
2θ/deg	Rel. int.
18.63	1000
43.34	578
35.83	293
64.41	283
45.20	243
18.21	112